This Joint Threat Assessment (JTA) addresses threats to the 2017 Presidential Address to a Joint Session of Congress (the Presidential Address) at the US Capitol Building in Washington, DC, on 28 February 2017. This assessment does not consider nonviolent civil disobedience tactics (for example, protests without a permit) that are outside the scope of federal law enforcement jurisdiction; however, civil disobedience tactics designed to cause a hazard to public safety and/or law enforcement fall within the scope of this assessment.
Tag Archive for Washington Regional Threat and Analysis Center
Intelligence Fusion Centers, Washington D.C.
(U//FOUO/LES) Washington D.C. Fusion Center: White Powder Letters Warning March 2012
Since 2007 an unknown subject has sent more than 360 letters containing a white, powder substance to various government officials, public schools and other locations. In May, 2011 20 letters were delivered to public schools in Washington, DC. Over the past two days similar letters have been received in Washington, DC; New York, New York; Dallas, Texas and Enfield, Connecticut.
Intelligence Fusion Centers, Washington D.C.
(U//FOUO) Washington D.C. Fusion Center White Powder Letters Warning
A series of “white powder letters” have been received this afternoon at several District of Columbia schools. First responders are responding to the locations and taking appropriate action. Three of the locations have already been cleared. The letters are identical to white powder letters received by District schools in October 2010 and are believed to contain a harmless white power.
Intelligence Fusion Centers, Washington D.C.
Washington, D.C. Fusion Center: Officer Safety Issues, March 2008
FOUO/LES Washington, D.C. Fusion Center: Officer Safety Issues from March 2008.
Intelligence Fusion Centers, Washington D.C.
(U//FOUO) Washington D.C. Fusion Center Alcoholic Energy Drinks Warning
Recently, alcoholic energy drinks have been making national headlines related to multiple hospitalizations for alcohol poisoning among college students. These hospitalizations have resulted in several universities banning the alcoholic energy drinks from campuses. Lawmakers in several states, including New York, have sought to ban the drinks, though no legislation has passed yet. These drinks mix alcohol with caffeine. Alcoholic energy products are marketed to look like energy drinks on grocery shelves, but can pack a real alcoholic punch. Four Loko is a popular brand, but not the only alcoholic energy drink under scrutiny. In the case of Four Loko, the 23.5-ounce drink is 12 percent alcohol and roughly equivalent to drinking five 12-ounce beers. The drink also has about a cup’s worth of coffee, according to the manufacturer. There’s a very common misconception that if you drink caffeine with an alcoholic beverage the stimulant effect of the caffeine counteracts the depressant effect of the alcohol and that is not true.
Intelligence Fusion Centers, Washington D.C.
Washington, D.C. Fusion Center Helium Suicides Warning
The Los Angeles Joint Regional Terrorism Threat Assessment Center (LAJRIC) distributed a public safety bulletin on an emerging suicide method using helium and an “exit hood.” Helium suicides are still relatively rare however, in the last several years, information about the use of helium as a certain, fast, and painless suicide method has spread on the Internet and in various suicide handbooks. First responders have encountered helium suicides and other variations of this suicide method using chemicals which are hazardous to first responders in the District or National Capitol Region. The WRTAC is issuing the below information for situational awareness and investigative purposes only.
Intelligence Fusion Centers, Washington D.C.
Washington, D.C. Fusion Center: Officer Safety Issues, March 2009
Washington Regional Threat and Analysis Center Officer Safety Issues, March 2009.
Intelligence Fusion Centers, Washington D.C.
=====
HoTl4F7: theoretical powder diffraction line list (a wavelength of 1.5418 Å), based on the GGA-PBE geometry in Alexandria.
Intensities are scaled so that the largest is 100.

Top 6 peaks for 10° ≤ 2θ ≤ 90°, low angle first:
two_theta	intensity	hkl
24.90	49	3 1 0
26.07	39	1 1 1
26.43	44	3 1 -1
26.71	100	4 0 1
27.55	48	6 0 -1
50.13	37	4 2 1

Cell and atoms:
Unit cell a=19.8277 b=4.3416 c=6.6670 alpha=90.00 beta=107.52 gamma=90.00
Space group C2/m (No. 12)
Unique sites:
Ho (0.0000, 0.0000, 0.0000) x2
Tl (0.0943, 0.5000, 0.5780) x4
Tl (0.1976, 0.5000, 0.1620) x4
F (0.0000, 0.5000, 0.0000) x2
F (0.0808, 0.0000, 0.8392) x4
F (0.0844, 0.0000, 0.2982) x4
F (0.2225, 0.5000, 0.8049) x4



CaGePtO4: theoretical powder diffraction line list (a wavelength of 1.5418 Å), based on the GGA-PBE geometry in Alexandria.
Intensities are scaled so that the largest is 100.

Top 6 peaks for 10° ≤ 2θ ≤ 90°, low angle first:
two_theta	intensity	hkl
21.83	93	1 1 1
25.92	55	0 0 2
29.47	75	2 0 0
31.48	54	1 1 2
32.89	61	1 3 0
35.49	100	2 2 0

Cell and atoms:
Unit cell a=6.0626 b=9.1432 c=6.8750 alpha=90.00 beta=90.00 gamma=90.00
Space group Cmcm (No. 63)
Unique sites:
Ca (0.0000, 0.0000, 0.0000) x4
Ge (0.0000, 0.3707, 0.2500) x4
Pt (0.0000, 0.2890, 0.7500) x4
O (0.0000, 0.2558, 0.0407) x8
O (0.2339, 0.4892, 0.2500) x8



Tm3MgCo: theoretical powder diffraction line list (a wavelength of 1.5418 Å), based on the GGA-PBE geometry in Alexandria.
Intensities are scaled so that the largest is 100.

Top 6 peaks for 10° ≤ 2θ ≤ 90°, low angle first:
two_theta	intensity	hkl
11.15	75	0 0 2
28.00	85	2 0 0
31.94	100	1 3 1
32.88	96	1 1 5
35.82	79	1 3 3
40.95	95	2 2 4

Cell and atoms:
Unit cell a=6.3741 b=9.5433 c=15.8759 alpha=90.00 beta=90.00 gamma=90.00
Space group Fmmm (No. 69)
Unique sites:
Tm (0.0000, 0.0000, 0.2060) x8
Tm (0.0000, 0.1956, 0.3854) x16
Mg (0.2112, 0.0000, 0.0000) x8
Co (0.2500, 0.2500, 0.2500) x8



V7Co2N2: theoretical powder diffraction line list (a wavelength of 1.5418 Å), based on the GGA-PBE geometry in Alexandria.
Intensities are scaled so that the largest is 100.

Top 6 peaks for 10° ≤ 2θ ≤ 90°, low angle first:
two_theta	intensity	hkl
38.39	33	1 2 1
41.23	58	0 6 0
42.92	36	1 1 2
43.84	100	0 3 3
45.47	83	1 4 1
47.38	70	1 3 2

Cell and atoms:
Unit cell a=2.6879 b=13.1389 c=7.0252 alpha=90.00 beta=90.00 gamma=90.00
Space group Imm2 (No. 44)
Unique sites:
V (0.0000, 0.0000, 0.0000) x2
V (0.0000, 0.1427, 0.4268) x4
V (0.0000, 0.3195, 0.6117) x4
V (0.0000, 0.3446, 0.2613) x4
Co (0.0000, 0.0000, 0.6492) x2
Co (0.0000, 0.5000, 0.8121) x2
N (0.0000, 0.2404, 0.9054) x4

----------

MoPb3: computed X-ray diffraction stick pattern (Cu Kα), based on a cell relaxed with GGA-PBE.
Kinematic intensities with the Lorentz-polarization factor, no thermal factor.

Cell and atoms:
Cell lengths 4.7761, 4.7761, 4.7761 Å; angles 90.00, 90.00, 90.00 degrees
Space group Pm-3m (No. 221)
Unique sites:
Mo: 0.0000 0.0000 0.0000 (multiplicity 1)
Pb: 0.0000 0.5000 0.5000 (multiplicity 3)
=====
Washington, D.C. Fusion Center: Officer Safety Issues, November 2009
(U//FOUO//LES) Washington Regional Threat and Analysis Center Officer Safety Issues, November 2009.
Intelligence Fusion Centers, Washington D.C.
Washington, D.C. Fusion Center: Officer Safety & Criminal Intelligence Issues
(U//FOUO/LES) Washington Regional Threat and Analysis Center: Officer Safety & Criminal Intelligence Issues, December 31, 2008.